## Material
<<<
## Rb2H6Pt (meta-GGA r2SCAN)

Data for Rb2H6Pt after structural relaxation.

The calculation puts the total magnetization at 0.000 μB/cell. The formation energy from the elements is -0.469 eV per atom.

It has space group Fm-3m (No. 225), with a = 8.522 Å, b = 8.522 Å, c = 8.522 Å, α = 90.00°, β = 90.00° and γ = 90.00°. The distinct sites, in fractional coordinates, are Rb at (0.250, 0.250, 0.250), H at (0.000, 0.000, 0.193) and Pt at (0.000, 0.000, 0.000).


# Li2Mn3F8

Crystalline Li2Mn3F8 at its relaxed geometry (PBE with a Hubbard U, the Materials Project).

Cell: 6.274 6.274 6.274 Å, 60.55 60.55 60.55°
Sites, in units of the cell vectors:
Li  0.129  0.129  0.129
Li  0.871  0.871  0.871
Mn  0.000  0.500  0.500
Mn  0.500  0.000  0.500
Mn  0.500  0.500  0.000
F  0.095  0.095  0.579
F  0.095  0.579  0.095
F  0.404  0.404  0.404
F  0.421  0.905  0.905
F  0.579  0.095  0.095
F  0.596  0.596  0.596
F  0.905  0.421  0.905
F  0.905  0.905  0.421

For the volume, the calculation gives 176.8 Å³/cell. The value obtained for the density is 3.11 Mg/m³. The crystal system is trigonal. The symmetry is R-3m (166). As for the distance to the lowest polymorph of the same formula: 0.0670 eV/atom.

=====

# Li3VO3F

Crystalline Li3VO3F at its relaxed geometry (PBE with a Hubbard U, the Materials Project).

Cell: 5.861 5.861 9.446 Å, 108.94 108.94 87.23°
Sites, in units of the cell vectors:
Li  0.064  0.812  0.875
Li  0.174  0.438  0.622
Li  0.188  0.936  0.625
Li  0.306  0.553  0.362
Li  0.438  0.174  0.122
Li  0.447  0.694  0.138
Li  0.553  0.306  0.862
Li  0.562  0.826  0.878
Li  0.694  0.447  0.638
Li  0.812  0.064  0.375
Li  0.826  0.562  0.378
Li  0.936  0.188  0.125
V  0.060  0.294  0.878
V  0.294  0.060  0.378
V  0.706  0.940  0.622
V  0.940  0.706  0.122
O  0.070  0.814  0.360
O  0.089  0.300  0.382
O  0.159  0.442  0.114
O  0.186  0.930  0.140
O  0.300  0.089  0.882
O  0.442  0.159  0.614
O  0.558  0.841  0.386
O  0.700  0.911  0.118
O  0.814  0.070  0.860
O  0.841  0.558  0.886
O  0.911  0.700  0.618
O  0.930  0.186  0.640
F  0.306  0.555  0.867
F  0.445  0.694  0.633
F  0.555  0.306  0.367
F  0.694  0.445  0.133

For the volume, the calculation gives 289.7 Å³/cell. The value obtained for the density is 3.18 Mg/m³. The crystal system is monoclinic. The symmetry is C2/c (15). As for the distance to the lowest polymorph of the same formula: 0.0010 eV/atom.

=====

# Ca3CoRhO6

Crystalline Ca3CoRhO6 at its relaxed geometry (PBE with a Hubbard U, the Materials Project).

Cell: 6.466 9.052 9.257 Å, 89.92 89.99 88.33°
Sites, in units of the cell vectors:
Ca  0.000  0.000  0.000
Ca  0.001  0.495  0.502
Ca  0.137  0.315  0.183
Ca  0.138  0.814  0.682
Ca  0.273  0.632  0.001
Ca  0.274  0.132  0.502
Ca  0.499  0.998  0.140
Ca  0.502  0.497  0.637
Ca  0.636  0.815  0.459
Ca  0.638  0.315  0.956
Ca  0.773  0.133  0.638
Ca  0.773  0.632  0.140
Co  0.133  0.813  0.316
Co  0.143  0.318  0.818
Co  0.639  0.316  0.315
Co  0.639  0.816  0.825
Rh  0.385  0.064  0.820
Rh  0.387  0.564  0.321
Rh  0.886  0.564  0.821
Rh  0.887  0.065  0.321
O  0.089  0.081  0.753
O  0.091  0.590  0.255
O  0.182  0.043  0.253
O  0.184  0.544  0.755
O  0.293  0.193  0.989
O  0.299  0.688  0.491
O  0.340  0.373  0.424
O  0.345  0.871  0.923
O  0.429  0.258  0.717
O  0.430  0.758  0.220
O  0.473  0.441  0.148
O  0.478  0.938  0.651
O  0.590  0.087  0.388
O  0.591  0.586  0.887
O  0.680  0.044  0.887
O  0.684  0.539  0.387
O  0.794  0.192  0.151
O  0.797  0.688  0.651
O  0.843  0.873  0.217
O  0.847  0.369  0.720
O  0.926  0.760  0.922
O  0.935  0.255  0.426
O  0.973  0.443  0.994
O  0.979  0.937  0.488

For the volume, the calculation gives 541.6 Å³/cell. The value obtained for the density is 4.64 Mg/m³. The crystal system is triclinic. The symmetry is P1 (1). As for the distance to the lowest polymorph of the same formula: 0.0009 eV/atom.

=====

# Li5Co2O6

Crystalline Li5Co2O6 at its relaxed geometry (PBE with a Hubbard U, the Materials Project).
>>>

## Brief
It remains to write out the whole of the contents further up with every line break kept.

## Completed
## Rb2H6Pt (meta-GGA r2SCAN)

Data for Rb2H6Pt after structural relaxation.

The calculation puts the total magnetization at 0.000 μB/cell. The formation energy from the elements is -0.469 eV per atom.

It has space group Fm-3m (No. 225), with a = 8.522 Å, b = 8.522 Å, c = 8.522 Å, α = 90.00°, β = 90.00° and γ = 90.00°. The distinct sites, in fractional coordinates, are Rb at (0.250, 0.250, 0.250), H at (0.000, 0.000, 0.193) and Pt at (0.000, 0.000, 0.000).


# Li2Mn3F8

Crystalline Li2Mn3F8 at its relaxed geometry (PBE with a Hubbard U, the Materials Project).

Cell: 6.274 6.274 6.274 Å, 60.55 60.55 60.55°
Sites, in units of the cell vectors:
Li  0.129  0.129  0.129
Li  0.871  0.871  0.871
Mn  0.000  0.500  0.500
Mn  0.500  0.000  0.500
Mn  0.500  0.500  0.000
F  0.095  0.095  0.579
F  0.095  0.579  0.095
F  0.404  0.404  0.404
F  0.421  0.905  0.905
F  0.579  0.095  0.095
F  0.596  0.596  0.596
F  0.905  0.421  0.905
F  0.905  0.905  0.421

For the volume, the calculation gives 176.8 Å³/cell. The value obtained for the density is 3.11 Mg/m³. The crystal system is trigonal. The symmetry is R-3m (166). As for the distance to the lowest polymorph of the same formula: 0.0670 eV/atom.

=====

# Li3VO3F

Crystalline Li3VO3F at its relaxed geometry (PBE with a Hubbard U, the Materials Project).

Cell: 5.861 5.861 9.446 Å, 108.94 108.94 87.23°
Sites, in units of the cell vectors:
Li  0.064  0.812  0.875
Li  0.174  0.438  0.622
Li  0.188  0.936  0.625
Li  0.306  0.553  0.362
Li  0.438  0.174  0.122
Li  0.447  0.694  0.138
Li  0.553  0.306  0.862
Li  0.562  0.826  0.878
Li  0.694  0.447  0.638
Li  0.812  0.064  0.375
Li  0.826  0.562  0.378
Li  0.936  0.188  0.125
V  0.060  0.294  0.878
V  0.294  0.060  0.378
V  0.706  0.940  0.622
V  0.940  0.706  0.122
O  0.070  0.814  0.360
O  0.089  0.300  0.382
O  0.159  0.442  0.114
O  0.186  0.930  0.140
O  0.300  0.089  0.882
O  0.442  0.159  0.614
O  0.558  0.841  0.386
O  0.700  0.911  0.118
O  0.814  0.070  0.860
O  0.841  0.558  0.886
O  0.911  0.700  0.618
O  0.930  0.186  0.640
F  0.306  0.555  0.867
F  0.445  0.694  0.633
F  0.555  0.306  0.367
F  0.694  0.445  0.133

For the volume, the calculation gives 289.7 Å³/cell. The value obtained for the density is 3.18 Mg/m³. The crystal system is monoclinic. The symmetry is C2/c (15). As for the distance to the lowest polymorph of the same formula: 0.0010 eV/atom.

=====

# Ca3CoRhO6

Crystalline Ca3CoRhO6 at its relaxed geometry (PBE with a Hubbard U, the Materials Project).

Cell: 6.466 9.052 9.257 Å, 89.92 89.99 88.33°
Sites, in units of the cell vectors:
Ca  0.000  0.000  0.000
Ca  0.001  0.495  0.502
Ca  0.137  0.315  0.183
Ca  0.138  0.814  0.682
Ca  0.273  0.632  0.001
Ca  0.274  0.132  0.502
Ca  0.499  0.998  0.140
Ca  0.502  0.497  0.637
Ca  0.636  0.815  0.459
Ca  0.638  0.315  0.956
Ca  0.773  0.133  0.638
Ca  0.773  0.632  0.140
Co  0.133  0.813  0.316
Co  0.143  0.318  0.818
Co  0.639  0.316  0.315
Co  0.639  0.816  0.825
Rh  0.385  0.064  0.820
Rh  0.387  0.564  0.321
Rh  0.886  0.564  0.821
Rh  0.887  0.065  0.321
O  0.089  0.081  0.753
O  0.091  0.590  0.255
O  0.182  0.043  0.253
O  0.184  0.544  0.755
O  0.293  0.193  0.989
O  0.299  0.688  0.491
O  0.340  0.373  0.424
O  0.345  0.871  0.923
O  0.429  0.258  0.717
O  0.430  0.758  0.220
O  0.473  0.441  0.148
O  0.478  0.938  0.651
O  0.590  0.087  0.388
O  0.591  0.586  0.887
O  0.680  0.044  0.887
O  0.684  0.539  0.387
O  0.794  0.192  0.151
O  0.797  0.688  0.651
O  0.843  0.873  0.217
O  0.847  0.369  0.720
O  0.926  0.760  0.922
O  0.935  0.255  0.426
O  0.973  0.443  0.994
O  0.979  0.937  0.488

For the volume, the calculation gives 541.6 Å³/cell. The value obtained for the density is 4.64 Mg/m³. The crystal system is triclinic. The symmetry is P1 (1). As for the distance to the lowest polymorph of the same formula: 0.0009 eV/atom.

=====

# Li5Co2O6

Crystalline Li5Co2O6 at its relaxed geometry (PBE with a Hubbard U, the Materials Project).